How many parents despair on Christmas day when their children prefer a cardboard box over their new (maybe pricey) toys? Or when children are surrounded by colourful, stimulating games and proclaim to be bored? Ever wonder why that is? The truth is that children’s imaginations thrive on a blank canvas. Using cardboard boxes, or regular rooms in the house or…
Why children prefer free play to toys

4 tips to help your baby start crawling

What comes next are data records, not part of the piece >
~~~
Entry 1:
# Zn11Ga17Ge
Simulated powder diffraction line list, copper Kα. Input: a GGA-PBE-relaxed structure.

Peak list (10 most intense, 2θ from 15° to 90°, sorted by position)
2θ/deg, I (rel.)
35.9, 42
36.5, 39
36.6, 75
38.0, 48
38.3, 100
39.0, 71
39.2, 50
39.4, 41
43.4, 39
43.6, 46

Structure:
a b c (Å): 8.512 8.512 8.517
angles (deg): 107.43 107.43 106.71
Element x y z (fractional)
Zn 0.000 0.000 0.000
Zn 0.007 0.203 0.568
Zn 0.007 0.639 0.372
Zn 0.203 0.007 0.568
Zn 0.439 0.633 0.188
Zn 0.440 0.817 0.993
Zn 0.629 0.819 0.796
Zn 0.633 0.439 0.188
Zn 0.639 0.007 0.372
Zn 0.817 0.440 0.993
Zn 0.819 0.629 0.796
Ga 0.092 0.509 0.870
Ga 0.126 0.415 0.180
Ga 0.130 0.820 0.781
Ga 0.153 0.812 0.175
Ga 0.231 0.231 0.907
Ga 0.242 0.552 0.604
Ga 0.409 0.825 0.492
Ga 0.415 0.126 0.180
Ga 0.504 0.504 0.871
Ga 0.509 0.092 0.870
Ga 0.524 0.524 0.465
Ga 0.552 0.242 0.604
Ga 0.812 0.153 0.175
Ga 0.820 0.130 0.781
Ga 0.822 0.822 0.190
Ga 0.825 0.409 0.492
Ga 0.832 0.832 0.533
Ge 0.213 0.213 0.373

***

Entry 2:
# CaGa2O4
Simulated powder diffraction line list, copper Kα. Input: a GGA-PBE-relaxed structure.

Peak list (10 most intense, 2θ from 15° to 90°, sorted by position)
2θ/deg, I (rel.)
19.5, 32
22.7, 58
29.8, 56
30.1, 100
33.7, 96
34.4, 45
35.7, 38
41.0, 21
41.6, 23
52.9, 28

Structure:
a b c (Å): 10.443 7.850 9.259
angles (deg): 90.00 90.00 90.00
Element x y z (fractional)
Ca 0.113 0.007 0.000
Ca 0.182 0.497 0.047
Ca 0.318 0.997 0.547
Ca 0.387 0.507 0.500
Ca 0.613 0.493 0.000
Ca 0.682 0.003 0.047
Ca 0.818 0.503 0.547
Ca 0.887 0.993 0.500
Ga 0.096 0.684 0.670
Ga 0.115 0.285 0.670
Ga 0.131 0.692 0.342
Ga 0.150 0.242 0.343
Ga 0.350 0.742 0.843
Ga 0.369 0.192 0.842
Ga 0.385 0.785 0.170
Ga 0.404 0.184 0.170
Ga 0.596 0.816 0.670
Ga 0.615 0.215 0.670
Ga 0.631 0.808 0.342
Ga 0.650 0.258 0.343
Ga 0.850 0.758 0.843
Ga 0.869 0.308 0.842
Ga 0.885 0.715 0.170
Ga 0.904 0.316 0.170
O 0.030 0.478 0.607
O 0.040 0.238 0.849
O 0.045 0.174 0.192
O 0.089 0.137 0.513
O 0.184 0.652 0.840
O 0.199 0.471 0.319
O 0.205 0.792 0.175
O 0.207 0.747 0.520
O 0.293 0.247 0.020
O 0.295 0.292 0.675
O 0.301 0.971 0.819
O 0.316 0.152 0.340
O 0.411 0.637 0.013
O 0.455 0.674 0.692
O 0.460 0.738 0.349
O 0.470 0.978 0.107
O 0.530 0.022 0.607
O 0.540 0.262 0.849
O 0.545 0.326 0.192
O 0.589 0.363 0.513
O 0.684 0.848 0.840
O 0.699 0.029 0.319
O 0.705 0.708 0.175
O 0.707 0.753 0.520
O 0.793 0.253 0.020
O 0.795 0.208 0.675
O 0.801 0.529 0.819
O 0.816 0.348 0.340
O 0.911 0.863 0.013
O 0.955 0.826 0.692
O 0.960 0.762 0.349
O 0.970 0.522 0.107

***

Entry 3:
# LaNdHo3Th
Simulated powder diffraction line list, copper Kα. Input: a GGA-PBE-relaxed structure.

Peak list (10 most intense, 2θ from 15° to 90°, sorted by position)
2θ/deg, I (rel.)
30.4, 100
30.6, 33
35.1, 22
35.3, 45
50.5, 16
50.8, 24
60.3, 14
60.4, 19
60.6, 9
63.2, 12

Structure:
a b c (Å): 10.751 3.598 10.816
angles (deg): 90.00 108.99 90.00
Element x y z (fractional)
La 0.211 0.250 0.372
La 0.789 0.750 0.628
Nd 0.131 0.750 0.634
~~~

All babies develop at different rates. Some babies don’t crawl till they’re over a year old, and some start moving bright and early. Some babies bypass crawling altogether and simply start walking one day. Walking and crawling gives your child their first taste of independence. They’ll love being able to go wherever they want, when…
3 things our toddlers need in their diets to maintain healthy growth

Our toddlers can be picky with food. They may like something one day, then point blank refuse to eat it the next. It’s common for toddlers to start making these sorts of decisions about their lives, they’re expressing their right to choose, which is great! However, it can leave parents a little stumped when it…
Healthy homemade fish fingers

Fish fingers are a life line for parents with tricky eaters, but why not shelve the store-bought option and try a bit of DIY for this classic kids’ dish? It needs a bit of prep, so leave yourself some time, but once made you can keep them in the freezer for a quick and easy option…
Signs to watch out for if you think your child needs glasses

Many children’s vision problems can go undetected until later stages in their childhood. If you notice your child doing any of the following while playing, then it could be a sign that they need glasses. Squinting When we squint, our vision is temporarily improved by narrowing the size of the image cast to the back…
Different types of toddler tantrums and what to do about them

Every parent knows the struggle of the terrible twos, where their once placid, happy baby has suddenly morphed into a human capable of articulating some very strong emotions. It can often take people unawares, as it may not happen as soon as they turn two. It might happen earlier or later, but the fact remains…
Tips for moving your baby into their own room

While we know it’s better to start younger rather than older, getting your child used to sleeping in a different room can always be tricky. When they’re small, it’s best that parents and baby sleep in the same room to help with those nighttime feeds – and it’s recommended that the baby should sleep in…